Next, set down only the last part of the lines below, starting with the line that has "(0.28042, 1.27476,".

<A>
Computed, not measured: one molecule with the formula C6H7I, with the ωB97M-V functional and the def2-TZVPD basis.

Positions of all 14 atoms, in Å:
C (1.90140, -0.79062, 0.19417)
C (0.59621, -0.05908, 0.00552)
C (0.28042, 1.27476, 0.04283)
C (-1.14750, 1.44799, -0.07221)
C (-1.75226, 0.24766, 0.02584)
I (-3.70555, -0.24585, 0.05789)
C (-0.68798, -0.82929, -0.14344)
H (2.06221, -1.07054, 1.21964)
H (2.66763, -0.07324, -0.15396)
H (1.98313, -1.76853, -0.42406)
H (0.94250, 2.12942, 0.18041)
H (-1.64863, 2.45218, -0.08053)
H (-0.57911, -0.96976, -1.21658)
H (-0.91247, -1.74511, 0.36449)

The net charge is 0. For the highest occupied orbital energy, the calculation gives -8.0 eV. For the frontier orbital gap, the calculation gives 8.724 eV.

***

<B>
Computed, not measured: a 2-piece molecular cluster, C6H7I overall, with the ωB97M-V functional and the def2-TZVPD basis.

Positions of all 14 atoms, in Å:
C (-0.58376, -1.42351, -0.44564)
C (0.26385, -0.60469, -0.12209)
C (1.34581, 0.03504, 0.58279)
C (2.62400, 0.31806, -0.32189)
H (-1.14298, -1.93993, -1.23039)
H (1.03713, 1.03103, 0.83860)
H (1.49040, -0.63422, 1.37127)
H (2.56551, 1.28306, -0.83792)
H (2.72082, -0.45292, -1.02180)
H (3.49319, 0.30236, 0.26281)
C (-2.75556, 0.99938, 0.18597)
C (-3.77374, 0.36514, 0.21998)
I (-5.55054, -0.49231, 0.06015)
H (-1.73412, 1.21350, 0.45815)

The net charge is 0. For the highest occupied orbital energy, the calculation gives -9.3 eV. For the frontier orbital gap, the calculation gives 9.820 eV.

***

Which one sits at the bottom of the stability order? <B> does.

***

<A>
Computed, not measured: a 2-piece molecular cluster, C2H3F2N overall, with the ωB97M-V functional and the def2-TZVPD basis.

Positions of all 8 atoms, in Å:
C (0.28089, 0.12375, 0.58389)
C (-1.96144, 0.18939, -0.37885)
N (1.15170, 0.00782, -0.28297)
F (-2.74435, 1.12424, 0.26734)
F (-2.41436, -1.01821, -0.01694)
H (-0.02714, -0.00092, 1.73153)
H (-1.88254, 0.40471, -1.36922)
H (2.20614, 0.01076, -0.41210)

The net charge is 0. For the highest occupied orbital energy (alpha / beta), the calculation gives -7.8 / -7.7 eV. For the frontier orbital gap (alpha / beta), the calculation gives 8.467 / 8.432 eV.

***

<B>
Computed, not measured: one molecule with the formula C2H3F2N, with the ωB97M-V functional and the def2-TZVPD basis.

Positions of all 8 atoms, in Å:
F (1.33229, -1.54907, -0.05212)
C (0.64706, -0.52737, 0.44591)
C (-0.86519, 0.11429, -0.49753)
N (0.48525, 0.59248, -0.40965)
F (0.65591, 1.85389, 0.21577)
H (0.47980, -0.54127, 1.51235)
H (-1.12070, -0.34883, -1.43293)
H (-1.61442, 0.40588, 0.21820)

The net charge is 0. For the highest occupied orbital energy, the calculation gives -9.4 eV. For the frontier orbital gap, the calculation gives 10.489 eV.

***

Which one sits at the bottom of the stability order? <A> does.

***

<A>
Computed, not measured: one molecule with the formula C3H5NS, with the ωB97M-V functional and the def2-TZVPD basis.

Positions of all 10 atoms, in Å:
C (-0.23088, -0.07969, 1.63380)
C (-0.53740, -0.04255, 0.19377)
N (0.45059, 0.08361, -0.58495)
C (0.64915, 0.16841, -1.88129)
S (1.51030, -0.83843, -2.83088)
H (-1.02565, 0.56755, 2.14322)
H (0.00955, -1.09070, 2.01309)
H (0.62261, 0.48800, 1.73218)
H (-1.52015, -0.32656, -0.16672)
H (0.07187, 1.07036, -2.25223)

The net charge is 0. For the highest occupied orbital energy, the calculation gives -8.5 eV. For the frontier orbital gap, the calculation gives 8.408 eV.

***

<B>
Computed, not measured: a 3-piece molecular cluster, C3H5NS overall, with the ωB97M-V functional and the def2-TZVPD basis.

Positions of all 10 atoms, in Å:
C (-0.52321, 0.56878, 0.17109)
C (0.02369, -0.65159, -0.14146)
C (0.78399, -1.57355, 0.82309)
H (-0.94788, 2.68074, -0.50871)
H (-0.12626, 1.87998, -1.59968)
H (-0.66618, 0.71249, 1.18247)
H (0.27341, -0.75547, -1.22315)
H (0.35559, -1.56473, 1.89248)
N (-1.12976, 1.33852, -0.77932)
S (1.95662, -2.63518, 0.18319)

C (0.28042, 1.27476, 0.04283)
C (-1.14750, 1.44799, -0.07221)
C (-1.75226, 0.24766, 0.02584)
I (-3.70555, -0.24585, 0.05789)
C (-0.68798, -0.82929, -0.14344)
H (2.06221, -1.07054, 1.21964)
H (2.66763, -0.07324, -0.15396)
H (1.98313, -1.76853, -0.42406)
H (0.94250, 2.12942, 0.18041)
H (-1.64863, 2.45218, -0.08053)
H (-0.57911, -0.96976, -1.21658)
H (-0.91247, -1.74511, 0.36449)

The net charge is 0. For the highest occupied orbital energy, the calculation gives -8.0 eV. For the frontier orbital gap, the calculation gives 8.724 eV.

***

<B>
Computed, not measured: a 2-piece molecular cluster, C6H7I overall, with the ωB97M-V functional and the def2-TZVPD basis.

Positions of all 14 atoms, in Å:
C (-0.58376, -1.42351, -0.44564)
C (0.26385, -0.60469, -0.12209)
C (1.34581, 0.03504, 0.58279)
C (2.62400, 0.31806, -0.32189)
H (-1.14298, -1.93993, -1.23039)
H (1.03713, 1.03103, 0.83860)
H (1.49040, -0.63422, 1.37127)
H (2.56551, 1.28306, -0.83792)
H (2.72082, -0.45292, -1.02180)
H (3.49319, 0.30236, 0.26281)
C (-2.75556, 0.99938, 0.18597)
C (-3.77374, 0.36514, 0.21998)
I (-5.55054, -0.49231, 0.06015)
H (-1.73412, 1.21350, 0.45815)

The net charge is 0. For the highest occupied orbital energy, the calculation gives -9.3 eV. For the frontier orbital gap, the calculation gives 9.820 eV.

***

Which one sits at the bottom of the stability order? <B> does.

***

<A>
Computed, not measured: a 2-piece molecular cluster, C2H3F2N overall, with the ωB97M-V functional and the def2-TZVPD basis.

Positions of all 8 atoms, in Å:
C (0.28089, 0.12375, 0.58389)
C (-1.96144, 0.18939, -0.37885)
N (1.15170, 0.00782, -0.28297)
F (-2.74435, 1.12424, 0.26734)
F (-2.41436, -1.01821, -0.01694)
H (-0.02714, -0.00092, 1.73153)
H (-1.88254, 0.40471, -1.36922)
H (2.20614, 0.01076, -0.41210)

The net charge is 0. For the highest occupied orbital energy (alpha / beta), the calculation gives -7.8 / -7.7 eV. For the frontier orbital gap (alpha / beta), the calculation gives 8.467 / 8.432 eV.

***

<B>
Computed, not measured: one molecule with the formula C2H3F2N, with the ωB97M-V functional and the def2-TZVPD basis.

Positions of all 8 atoms, in Å:
F (1.33229, -1.54907, -0.05212)
C (0.64706, -0.52737, 0.44591)
C (-0.86519, 0.11429, -0.49753)
N (0.48525, 0.59248, -0.40965)
F (0.65591, 1.85389, 0.21577)
H (0.47980, -0.54127, 1.51235)
H (-1.12070, -0.34883, -1.43293)
H (-1.61442, 0.40588, 0.21820)

The net charge is 0. For the highest occupied orbital energy, the calculation gives -9.4 eV. For the frontier orbital gap, the calculation gives 10.489 eV.

***

Which one sits at the bottom of the stability order? <A> does.

***

<A>
Computed, not measured: one molecule with the formula C3H5NS, with the ωB97M-V functional and the def2-TZVPD basis.

Positions of all 10 atoms, in Å:
C (-0.23088, -0.07969, 1.63380)
C (-0.53740, -0.04255, 0.19377)
N (0.45059, 0.08361, -0.58495)
C (0.64915, 0.16841, -1.88129)
S (1.51030, -0.83843, -2.83088)
H (-1.02565, 0.56755, 2.14322)
H (0.00955, -1.09070, 2.01309)
H (0.62261, 0.48800, 1.73218)
H (-1.52015, -0.32656, -0.16672)
H (0.07187, 1.07036, -2.25223)

The net charge is 0. For the highest occupied orbital energy, the calculation gives -8.5 eV. For the frontier orbital gap, the calculation gives 8.408 eV.

***

<B>
Computed, not measured: a 3-piece molecular cluster, C3H5NS overall, with the ωB97M-V functional and the def2-TZVPD basis.

Positions of all 10 atoms, in Å:
C (-0.52321, 0.56878, 0.17109)
C (0.02369, -0.65159, -0.14146)
C (0.78399, -1.57355, 0.82309)
H (-0.94788, 2.68074, -0.50871)
H (-0.12626, 1.87998, -1.59968)
H (-0.66618, 0.71249, 1.18247)
H (0.27341, -0.75547, -1.22315)
H (0.35559, -1.56473, 1.89248)
N (-1.12976, 1.33852, -0.77932)
S (1.95662, -2.63518, 0.18319)